Extract from Ellen W. Randolph Coolidge’s London Travel Diary

the last day of the month I do not know how it is that doing so little I have so little time to do any thing in. It is a problem I cannot solve.

On Sunday, feeling somewhat feeble from my late indisposition, I went with Mrs Stevenson, by appointment, to call on Mrs Grote, wife of the radical member of parliament, and herself a politician of no common vigour and zeal. I do not admire female politicians. My ideas on that subject have not kept pace with the march of intellect. My Grandfather used to tell me that it was one of the privileges of my sex to be exempt from the necessity of taking active part in the violence & turbulence of party politics. Of course if a woman thinks at all she must have an opinion, and I am myself “tant soit peu” conservative in my ideas. Perhaps because, in my country, all the tendencies are towards an abuse of the opposite principles. Putting domestic slavery out of the question, it has never been my lot to see any thing like oppression of the many by the few. My sympathies have never been excited on the popular side, because with us the people have all the power. Property, if not equally divided, is accumulated by no arbitrary law in the hands of a few. The spirit of caste, where it exists at all, is perpetually shifting it’s ground. There is perpetual movement every where. We are in a state of constant revolution. All the evils that I see, arise from too much liberty and not too little. The violence, the vulgarity of Democracy is always before my eyes. Were it otherwise my feelings would be different, because no one can feel greater indignation than I do at a tale of injustice or oppression, or a more deep and solemn reverence for the inalienable rights of man.—But to return to my radical Mrs Grote, she is a tall, masculine looking woman, with a countenance full of intelligence & independence, decided in her manner and tone and altogether a favorable specimen of her kind. Perhaps Mrs Grote might be Mme Roland in Mme Roland’s place. Mr Grote is milder and more gentlemanly than his wife, and is said to be much under her influence, and much indebted to her superiour vigour of character if not of intellect. He is called, in a spirit of prophesy, the Wilberforce of the vote by ballot—A measure of reform which he seems pledged to carry through, if his concentrated powers and perseverance can possibly accomplish it.

From Mr Grote’s house, 3. Eccleston St. we drove to the door of the Countess Duchess of Sutherland. Mrs Stevenson who had been always very kindly treated by this aged and great lady wished to inquire after her health. She had been seriously ill for several days, but to-day was now, we were told by a servant at the door, very much better. This morning’s paper announces her death!

## What comes next are calculated crystals, not part of the text
/*
[1]
K2Sb4Pt5: simulated XRD peak list (Cu Kα (weighted mean of Kα1 and Kα2)), based on a cell relaxed with PBE.

Cell and atoms:
abc: 5.772 13.395 14.720
angles: 90.00 90.00 90.00
Space group Fmmm (No. 69)
One atom of each set of equivalent atoms:
K: 0.000 0.000 0.134
Sb: 0.000 0.151 0.376
Pt: 0.000 0.000 0.500
Pt: 0.250 0.250 0.000
Pt: 0.250 0.250 0.250

Top 12 peaks for 15 to 90 degrees two-theta, sorted by position:
- hkl 1 1 1, 17.78 deg, rel. 83
- hkl 0 2 4, 27.66 deg, rel. 32
- hkl 1 3 3, 31.20 deg, rel. 63
- hkl 2 2 0, 33.82 deg, rel. 59
- hkl 0 4 4, 36.27 deg, rel. 100
- hkl 2 0 4, 39.69 deg, rel. 63
- hkl 1 3 5, 39.87 deg, rel. 32
- hkl 2 4 0, 41.30 deg, rel. 34
- hkl 2 2 4, 42.01 deg, rel. 91
- hkl 0 6 4, 47.64 deg, rel. 32
- hkl 2 6 0, 51.77 deg, rel. 47
- hkl 2 6 8, 74.47 deg, rel. 32

***

[2]
KSb2Pt3: simulated XRD peak list (Cu Kα (weighted mean of Kα1 and Kα2)), based on a cell relaxed with PBE.

Cell and atoms:
abc: 4.486 8.059 8.758
angles: 110.85 97.71 98.02
Space group P-1 (No. 2)
One atom of each set of equivalent atoms:
K: 0.074 0.284 0.066
Sb: 0.280 0.376 0.718
Sb: 0.437 0.961 0.765
Pt: 0.128 0.159 0.397
Pt: 0.292 0.601 0.562
Pt: 0.295 0.827 0.377

Top 12 peaks for 15 to 90 degrees two-theta, sorted by position:
- hkl 1 1 1, 31.45 deg, rel. 100
- hkl -1 2 1, 32.41 deg, rel. 43
- hkl 0 2 -3, 33.03 deg, rel. 64
- hkl 1 1 -3, 34.81 deg, rel. 68
- hkl 1 -3 1, 36.91 deg, rel. 48
- hkl 1 -3 2, 39.04 deg, rel. 60
- hkl -1 2 2, 39.50 deg, rel. 98
- hkl 1 1 2, 39.75 deg, rel. 82
- hkl 2 0 -1, 40.73 deg, rel. 56
- hkl 2 -1 0, 40.78 deg, rel. 64
- hkl 1 3 -2, 42.19 deg, rel. 59
- hkl -1 2 3, 48.54 deg, rel. 34

~~~~~

Calculated powder diffractogram
Compound: Tb2AgGe2
Radiation: Cu Kα X-rays
Structure: a DFT-relaxed cell (PBE, Alexandria)
No peak broadening, texture or thermal motion is included.

Structural model:
Cell: 7.1645 7.1645 8.6013 Å, 90.00 90.00 90.00°
Space group P4/mnc (No. 128)
Inequivalent atoms, fractional coordinates:
Tb: 0.1757 0.3243 0.0000 [8 per cell]
Ag: 0.0000 0.0000 0.2496 [4 per cell]
Ge: 0.1262 0.6262 0.2500 [8 per cell]

Top 6 peaks for 10° ≤ 2θ ≤ 80°, in order of falling intensity:
2θ = 34.92°, d = 2.569 Å, I 100, (2 1 2); 2θ = 32.53°, d = 2.752 Å, I 48, (2 0 2); 2θ = 39.79°, d = 2.266 Å, I 34, (3 1 0); 2θ = 42.02°, d = 2.150 Å, I 22, (0 0 4); 2θ = 59.25°, d = 1.560 Å, I 21, (3 1 4); 2θ = 57.18°, d = 1.611 Å, I 16, (4 1 2)
*/

The same day, Sunday, we dined with Mrs Stevenson and passed a pleasant evening. Monday, Mrs Glass dined with us. Mr & Mrs Grote left their cards as did Mr & Mrs Morrison with an invitation to pass this (Wednesday) evening at their house.—Tuesday Mr Coolidge & myself called on Mrs Stewart a Scotch lady who visited me some time ago, and on Mrs Mill the wife of an old friend of his in India.

I have made a mistake in my date and gained a day. This is the 30th & not the 31st of the month which ends on thursday, to-morrow. To-day is the coldest I have felt in England, there is a slight sprinkling of snow on the ground, and for the first time, I, this morning, wished for a fire in my bed-chamber. The cold, however, is not severe enough to be unpleasant, and I go now to prepare for a sortie into the open air.

MS (MHi: Ellen Wayles Randolph Coolidge Diary, Ms N-1027); in Coolidge’s hand. Published in Thomas Jefferson’s Granddaughter in Queen Victoria’s England: The Travel Diary of Ellen Wayles Coolidge, 1838–1839, Ann Lucas Birle and Lisa A. Francavilla, eds. (2011), 198–201

tant soit peu: a little; slightly.

Date Range
January 30, 1839